Journey of building a SaaS product – Database
In this chapter, I’ll covering a lot more on the programming stuff that is related to our back-end database design, ORM, code partitioning, and wrappers.
In current modern programming practice, interface of front-end have many option to take into consideration. The current most popular interface users will be using to interact with our application are Web Browser and Mobile App. In some case, company even allow application that is develop by third party to interact with your application.
Is never a good idea to program same business logic twice on two different front-end. You’ll need to spend double amount of effort as well as to maintain the same consistency and expectation.
This is where API are widely popular in modern programming practices. As illustrate in the below diagram:
Back-end will the to provide all the needed API for the front-end to function properly. It can be from the Web-app or Mobile, to use the basic CRUD function or some of more complicated business logic that links and update several table at once.
It helps a lot by removing redundant duplicate of work, and also ease the maintenance of work. Also ease the front-end from focusing too much on business logic, when all they need is focusing on building UI.
Another advantage for de-coupling is writing test. Is way much easier to write test for backend than frontend. Reason is that API is just like a black box, you pass in paramenters(INPUT), and it return with a response(OUTPUT). Writing test for this kind of expected behaviour is a breeze.
Let’s Get Started
As seen from the Sequelize documentation, building database schema is done through code as follow:
const User = sequelize.define('user', { username: Sequelize.STRING, birthday: Sequelize.DATE });
However, writing a large application with 10s or 100s of table, is not wise to maintain all the schema within a single file. That is where you’ll need to start breaking individual table into individual file.
Hint, for a quick start and template, try searching for “Sequelize Migration”. This covers a lot of details on how to “up” and “down” version of a database schema and seed data.
I’ll skip that and jump right into our design instead. Using the same theory, we create a wrapper on top, that we can specify our own directory and load it.
function sequelizeImportModels(dirname, tenantId) { ... if (tenantId) { // perform scoping on the model\ // const _options = _.assign({}, options, { // defaultScope: { where: { tenantId } }, // }); } // import sql model definitions by folder const importByDirname = (dirname) => { if (!utils.isDirectoryExist(dirname)) return; fs.readdirSync(dirname) .filter(file => (file.indexOf('.') !== 0 && (file !== 'index.js'))) .forEach(file => { const func = require(path.join(dirname, file));, Sequelize, this.db.sql); }); }; // support multiple folders if (_.isArray(dirname)) { dirname.forEach(importByDirname); } else { importByDirname(dirname); } ... }
Once we have this, is much easier for us to begin breaking up tables and put it inside another sub-folder separate by modules.
The fun part of Sequelize being javascript is the functional programming. You can literally merge
and assign
objects. As an example, the user table as the following definition.
define({ name: 'user', columns: { userId: { type: DataTypes.INTEGER, autoIncrement: true, primaryKey: true, allowNull: false, }, username: { type: DataTypes.STRING(50), allowNull: false, }, ... }, extend: function (Model) { Model.userRoles = Model.hasMany(models.userRole, { as: 'userRoles', foreignKey: 'userId', }); }, });
Elsewhere in another file, we can continue with assign it back onto the same table. This is particularly useful for us to do association with different modules as well. Reason that, this case is easier for us to know which module is link to another module and what is linked.
define({ name: 'user', extend: function (Model) { // generating a hash Model.generateHash = function (password) {}; // checking if password is valid Model.validPassword = function (password, hashPassword) {}; }, });
Auto Generate GraphQL
If you refer to GraphQL-Sequelize, it guide you on how to build a graphql schema base of sequelize model.
• Records of crystals that have nothing to do with the article:
/*
[1]
Sr4B14O25 after structural relaxation. Source: the Materials Project, functional PBE.

Summary:
- formation enthalpy at 0 K (meV per atom) = -3045.9
- energy with MP2020 corrections (eV per cell) = -1419.77

Lattice parameters (Å, degrees): 7.853 16.482 14.792 90.00 90.00 90.00
Space group Cmc2_1 (No. 36)
Unique sites:
1 Sr 0.000 0.056 0.000 [4 per cell]
2 Sr 0.000 0.176 0.321 [4 per cell]
3 Sr 0.000 0.195 0.734 [4 per cell]
4 Sr 0.000 0.430 0.913 [4 per cell]
5 B 0.165 0.382 0.365 [8 per cell]
6 B 0.168 0.235 0.936 [8 per cell]
7 B 0.168 0.396 0.699 [8 per cell]
8 B 0.171 0.005 0.788 [8 per cell]
9 B 0.175 0.153 0.523 [8 per cell]
10 B 0.232 0.218 0.101 [8 per cell]
11 B 0.248 0.470 0.129 [8 per cell]
12 O 0.000 0.025 0.299 [4 per cell]
13 O 0.000 0.146 0.491 [4 per cell]
14 O 0.000 0.225 0.895 [4 per cell]
15 O 0.000 0.359 0.705 [4 per cell]
16 O 0.000 0.412 0.356 [4 per cell]
17 O 0.178 0.186 0.020 [8 per cell]
18 O 0.191 0.061 0.709 [8 per cell]
19 O 0.191 0.452 0.622 [8 per cell]
20 O 0.194 0.207 0.603 [8 per cell]
21 O 0.199 0.301 0.369 [8 per cell]
22 O 0.210 0.059 0.871 [8 per cell]
23 O 0.212 0.176 0.183 [8 per cell]
24 O 0.213 0.436 0.785 [8 per cell]
25 O 0.214 0.319 0.949 [8 per cell]
26 O 0.241 0.070 0.547 [8 per cell]



[2]
SrB6O14 after structural relaxation. Source: the Materials Project, functional PBE.

Summary:
- formation enthalpy at 0 K (meV per atom) = -1914.2
- energy with MP2020 corrections (eV per cell) = -604.95
- M_tot (μB per formula unit) = 1.12

Lattice parameters (Å, degrees): 10.117 8.076 14.615 90.00 118.13 90.00
Space group P2_1/c (No. 14)
Unique sites:
1 Sr 0.217 0.062 0.193 [4 per cell]
2 B 0.018 0.097 0.750 [4 per cell]
3 B 0.168 0.665 0.321 [4 per cell]
4 B 0.210 0.041 0.693 [4 per cell]
5 B 0.405 0.738 0.472 [4 per cell]
6 B 0.426 0.662 0.317 [4 per cell]
7 B 0.480 0.100 0.748 [4 per cell]
8 O 0.011 0.578 0.508 [4 per cell]
9 O 0.050 0.548 0.306 [4 per cell]
10 O 0.102 0.148 0.704 [4 per cell]
11 O 0.105 0.682 0.760 [4 per cell]
12 O 0.146 0.536 0.093 [4 per cell]
13 O 0.243 0.199 0.975 [4 per cell]
14 O 0.258 0.710 0.432 [4 per cell]
15 O 0.272 0.586 0.283 [4 per cell]
16 O 0.333 0.149 0.701 [4 per cell]
17 O 0.383 0.128 0.396 [4 per cell]
18 O 0.407 0.686 0.757 [4 per cell]
19 O 0.476 0.046 0.197 [4 per cell]
20 O 0.479 0.688 0.077 [4 per cell]
21 O 0.492 0.703 0.428 [4 per cell]



[3]
SrBO3 after structural relaxation. Source: the Materials Project, functional PBE.

Summary:
- formation enthalpy at 0 K (meV per atom) = -2825.0
- energy with MP2020 corrections (eV per cell) = -149.35
- M_tot (μB per formula unit) = 1.00

Lattice parameters (Å, degrees): 7.057 5.805 6.847 90.00 90.00 90.00
Space group Pnma (No. 62)
Unique sites:
1 Sr 0.166 0.250 0.152 [4 per cell]
2 B 0.087 0.250 0.714 [4 per cell]
3 O 0.035 0.250 0.520 [4 per cell]
4 O 0.112 0.043 0.806 [8 per cell]



[4]
Tb2B4O9 after structural relaxation. Source: the Materials Project, functional PBE.

Summary:
*/
We take it a step further, by auto-generating it. This way, we only will need to focus on building the model definition of table base on our database design, and the rest will handle by itself.
If you ever try to do a console.log
on the model object that Sequelize generated, you’ll notice there is many information in it. That is where you can start pulling out information such as columns, association and their target name, primaryKey, uniqueKey, etc.
• What comes next are data records, not part of the piece:
A plane-wave DFT calculation with PBE with a Hubbard U was carried out for an optimized crystal structure of MnV3Co2P6O24.

Lattice parameters (Å, degrees): 8.5045 8.5045 8.5045 61.15 61.15 61.15
Fractional coordinates of all 36 atoms:
O 0.8124 0.0206 0.6026
O 0.8792 0.4948 0.6916
O 0.9518 0.7349 0.0994
O 0.7615 0.5530 0.4170
O 0.4274 0.5877 0.2415
O 0.9976 0.3808 0.1878
O 0.2415 0.4274 0.5877
O 0.3315 0.1133 0.4881
O 0.3808 0.1878 0.9976
O 0.1878 0.9976 0.3808
O 0.4170 0.7615 0.5530
O 0.2535 0.9130 0.0597
O 0.0994 0.9518 0.7349
O 0.5877 0.2415 0.4274
O 0.0597 0.2535 0.9130
O 0.6916 0.8792 0.4948
O 0.6026 0.8124 0.0206
O 0.0206 0.6026 0.8124
O 0.4881 0.3315 0.1133
O 0.9130 0.0597 0.2535
O 0.4948 0.6916 0.8792
O 0.7349 0.0994 0.9518
O 0.5530 0.4170 0.7615
O 0.1133 0.4881 0.3315
P 0.0461 0.4521 0.7518
P 0.2541 0.9580 0.5414
P 0.5414 0.2541 0.9580
P 0.9580 0.5414 0.2541
P 0.7518 0.0461 0.4521
P 0.4521 0.7518 0.0461
V 0.3564 0.3564 0.3564
V 0.1426 0.1426 0.1426
V 0.6439 0.6439 0.6439
Co 0.9976 0.9976 0.9976
Co 0.4994 0.4994 0.4994
Mn 0.8560 0.8560 0.8560

Values from the calculation:
Energy relative to the elements: -87.34 eV/f.u.

=====

A plane-wave DFT calculation with PBE with a Hubbard U was carried out for an optimized crystal structure of VCrP2O8.

Lattice parameters (Å, degrees): 8.5608 8.5608 8.5608 60.34 60.34 60.34
Fractional coordinates of all 36 atoms:
Cr 0.9998 0.9998 0.9998
Cr 0.4995 0.4995 0.4995
Cr 0.8573 0.8573 0.8573
O 0.9432 0.7420 0.0875
O 0.5863 0.2410 0.4387
O 0.2410 0.4387 0.5863
O 0.8843 0.4939 0.6890
O 0.7581 0.5610 0.4125
O 0.6890 0.8843 0.4939
O 0.7420 0.0875 0.9432
O 0.8097 0.0095 0.6145
O 0.1137 0.5041 0.3143
O 0.0594 0.2581 0.9117
O 0.6145 0.8097 0.0095
O 0.4939 0.6890 0.8843
O 0.9117 0.0594 0.2581
O 0.1888 0.9927 0.3861
O 0.4387 0.5863 0.2410
O 0.2581 0.9117 0.0594
O 0.3861 0.1888 0.9927
O 0.0095 0.6145 0.8097
O 0.4125 0.7581 0.5610
O 0.5610 0.4125 0.7581
O 0.3143 0.1137 0.5041
O 0.5041 0.3143 0.1137
O 0.9927 0.3861 0.1888
O 0.0875 0.9432 0.7420
V 0.3561 0.3561 0.3561
V 0.6434 0.6434 0.6434
V 0.1431 0.1431 0.1431
P 0.2499 0.9566 0.5437
P 0.5437 0.2499 0.9566
P 0.7500 0.0425 0.4579
P 0.9566 0.5437 0.2499
P 0.0425 0.4579 0.7500
P 0.4579 0.7500 0.0425

Values from the calculation:
Energy relative to the elements: -30.76 eV/f.u.

=====

A plane-wave DFT calculation with PBE with a Hubbard U was carried out for an optimized crystal structure of Li2Mn4Si4O13.

Lattice parameters (Å, degrees): 6.9855 8.0601 10.3982 111.57 89.80 101.95
Fractional coordinates of all 46 atoms:
O 0.7191 0.3583 0.1247
O 0.1370 0.6968 0.6561
O 0.8653 0.9926 0.3842
O 0.1379 0.0057 0.8846
O 0.2170 0.3722 0.6136
O 0.3900 0.0114 0.1163
O 0.4994 0.6824 0.1588
O 0.1347 0.0074 0.6158
O 0.6100 0.9886 0.8837
O 0.5964 0.9791 0.6110
O 0.8387 0.8242 0.6978
O 0.4036 0.0209 0.3890
O 0.0976 0.7002 0.1633
O 0.4957 0.6676 0.6626
O 0.8630 0.3032 0.3439
O 0.9024 0.2998 0.8367
O 0.7258 0.3755 0.6533
O 0.2809 0.6417 0.8753
O 0.1613 0.1758 0.3022
O 0.2122 0.3751 0.0697
Use those information to build a auto-generate schema once, and you don’t have to worry about creating those graphql anymore in the future, all you need is just to use it.
for (const associationName in model.associations) { const modelAssociate = model.associations[associationName]; associationsMessage[associationName] = modelAssociate.associationType; if (modelAssociate.associationType == 'HasMany') { const fields = this.db.gql[tableName]._typeConfig.fields; fields[] = { type: new GraphQLList(this.db.gql[]), args: this.defaultListArgs(), resolve: resolver(this.db.sql[tableName][]), }; } if (modelAssociate.associationType == 'BelongsTo') { const fields = this.db.gql[tableName]._typeConfig.fields; fields[] = { type: this.db.gql[], args: this.defaultArgs(this.db.sql[]), resolve: resolver(this.db.sql[tableName][]), }; } if (modelAssociate.associationType == 'HasOne') { const fields = this.db.gql[tableName]._typeConfig.fields; fields[] = { type: this.db.gql[], args: this.defaultArgs(this.db.sql[]), resolve: resolver(this.db.sql[tableName][]), }; } }
All The Above Setup Are
So, what the point of going all those trouble setting up each components of those loading?
For one, you can have the convenient to not needing to join table to view nested table information
graphql(schema, '{ users { username, password, roles { name } } '))
We also can use sequelize function without worry of data outside of tenantId is also retrieve for the wrong users. By making sure we call the correct tenant database
Misplaced data records =
<<<
# PBE Cs2InBiCl6, optimized geometry
data_Cs2InBiCl6
_chemical_formula_sum 'Cs2 In1 Bi1 Cl6'
_cell_length_a 8.115
_cell_length_b 8.115
_cell_length_c 8.115
_cell_angle_alpha 60.00
_cell_angle_beta 60.00
_cell_angle_gamma 60.00
_symmetry_space_group_name_H-M 'P 1'
_symmetry_Int_Tables_number 1
_symmetry_space_group_name_Hall 'P 1'
loop_
_atom_site_label
_atom_site_fract_x
_atom_site_fract_y
_atom_site_fract_z
Cs1 0.250 0.250 0.250
Cs2 0.750 0.750 0.750
In1 0.000 0.000 0.000
Bi1 0.500 0.500 0.500
Cl1 0.262 0.262 0.738
Cl2 0.262 0.738 0.262
Cl3 0.262 0.738 0.738
Cl4 0.738 0.262 0.262
Cl5 0.738 0.262 0.738
Cl6 0.738 0.738 0.262
# total DFT energy (no corrections)	-33.6	eV per cell
# calculated formation energy	-1771.6	meV per atom
# mass density	3.53	g cm⁻³
# symmetry	Fm-3m

# PBE RbSrI3, optimized geometry
data_RbSrI3
_chemical_formula_sum 'Rb2 Sr2 I6'
_cell_length_a 8.405
_cell_length_b 8.405
_cell_length_c 12.275
_cell_angle_alpha 90.00
_cell_angle_beta 90.00
_cell_angle_gamma 146.36
_symmetry_space_group_name_H-M 'P 1'
_symmetry_Int_Tables_number 1
_symmetry_space_group_name_Hall 'P 1'
loop_
_atom_site_label
_atom_site_fract_x
_atom_site_fract_y
_atom_site_fract_z
Rb1 0.249 0.751 0.750
Rb2 0.751 0.249 0.250
Sr1 0.000 0.000 0.000
Sr2 0.000 0.000 0.500
I1 0.075 0.925 0.250
I2 0.365 0.635 0.055
I3 0.365 0.635 0.445
I4 0.635 0.365 0.555
I5 0.635 0.365 0.945
I6 0.925 0.075 0.750
# total DFT energy (no corrections)	-30.9	eV per cell
# calculated formation energy	-1869.4	meV per atom
# mass density	3.83	g cm⁻³
# symmetry	Cmcm

~~~~~

No. 1
LiCrPO4F: optimized geometry, PBE+U.

a = 7.264 Å, b = 7.264 Å, c = 9.561 Å
α = 115.77°, β = 115.77°, γ = 51.73°
Sites, in units of the cell vectors:
Li 0.109 0.891 0.500
Li 0.331 0.814 0.819
Li 0.814 0.331 0.319
Li 0.891 0.109 0.000
Cr 0.154 0.419 0.193
Cr 0.419 0.154 0.693
Cr 0.553 0.880 0.345
Cr 0.880 0.553 0.845
P 0.355 0.580 0.022
P 0.580 0.355 0.522
P 0.693 0.931 0.139
P 0.931 0.693 0.639
O 0.065 0.788 0.642
O 0.085 0.449 0.693
O 0.174 0.541 0.041
O 0.206 0.806 0.962
O 0.347 0.512 0.406
O 0.449 0.085 0.193
O 0.512 0.347 0.906
O 0.528 0.600 0.187
O 0.541 0.174 0.541
O 0.600 0.528 0.687
O 0.644 0.775 0.972
O 0.758 0.855 0.760
O 0.775 0.644 0.472
O 0.788 0.065 0.142
O 0.806 0.206 0.462
O 0.855 0.758 0.260
F 0.053 0.280 0.249
F 0.280 0.053 0.749
F 0.316 0.983 0.462
F 0.983 0.316 0.962

Output
Space-group type ... No. 9



No. 2
SrPrGdNiO6: optimized geometry, PBE+U.

a = 5.721 Å, b = 5.721 Å, c = 5.721 Å
α = 60.00°, β = 60.00°, γ = 60.00°
Sites, in units of the cell vectors:
Sr 0.000 0.000 0.000
Pr 0.500 0.500 0.500
Gd 0.750 0.750 0.750
Ni 0.250 0.250 0.250
O 0.020 0.020 0.480
O 0.020 0.480 0.020
O 0.020 0.480 0.480
O 0.480 0.020 0.020
O 0.480 0.020 0.480
O 0.480 0.480 0.020

Output
Space-group type ... No. 216



No. 3
MgMo2Rh4O12: optimized geometry, PBE+U.

a = 4.755 Å, b = 4.755 Å, c = 9.468 Å
α = 90.00°, β = 90.00°, γ = 90.00°
Sites, in units of the cell vectors:
Mg 0.000 0.000 0.000
Mo 0.000 0.500 0.739
>>>
const db = database[tenantId].sql.user...
That basically sums up the important gist we used and leverage on Sequelize to make our coding experience better.
We split up the database definition in to multiple folder sorted by modules. Those that have overlapping relation between module will have an extension that does object assign on another separate file.
While loading, we also created scoping of all the models using Sequelize API to secure data read/write that only happens on the same tenant.
We automate the creation of GraphQL schema by looking at the object, and using those important name to fit the GraphQL generations.